A Dash of Friendship

by Twotailedfox8

A Smidge of Trouble

“And that’s when the lady started to change. Replacing her pearly whites were monstrous fangs. Her well-groomed hair grew long, beginning to cover her whole body as it’s pristine blue colouring was covered in a black as dark as tar, developing severe split ends!”

“Not split ends!” Rarity screamed in fear, her over dramatization of Rainbow’s story causing an annoyed frown to show itself over Rainbow’s face.

“Ahem. Can I finish?” Rainbow asked, glaring at Rarity.

“Oh, of course,” Rarity responded, closing her eyes and swiveling her head as to not be seen by Rainbow, trying to mask the embarrassment that she felt. She lifted her hand up to her hair, fluffing it back into place, as was the pale girl’s habit as of late.

“Anyway,” Rainbow Dash began, a hint of annoyance still floating with each word before it fully dissipated away when the cyan girl continued to get more and more caught up and enthralled by the story she was spewing. “The werewolf stalked the young, innocent girl down the street…”

Fluttershy hid under the bed, cowering in fear as Rainbow continued her story, adopting a sinister tone to convey the malice of her tale. The yellow skinned girl covered her eyes with her hands, visibly shaking in fear as she silently begged for the story to be over.

“And that’s when, after it finally finished devouring its last prey, the werewolf slowly skulked back into woods. However, some say it is still out there today. Silently running down the streets, targeting urban houses with the lights on late into the night. Just… like… this one!” Rainbow Dash quickly jumped up, shouting loudly and flailing her hands above her head, intent on scaring the living daylights out of her two friends that were spending the night with her.

Rarity and Fluttershy joined together in a chorus of shouts and screams that would rival the intensity of a thousand screeching chimpanzees in the jungle. Rainbow Dash fell over onto her back, holding her sides tightly as she tried to sedate the pain that she felt in her sides from the large quantities of immeasurable laughter that was escaping her mouth. Tears of joy flowed freely from her ducts as she rolled around on her back.

“Y…you should have s…seen the look on you faces,” she managed to say between fits of laughter.

“That wasn’t very funny,” Fluttershy piped up after her bunny managed to calm her nerves a little by hopping into her lap.

“You’re right, you’re right. It wasn’t funny,” Rainbow admitted, gaining some composure as she sat up. “It was hilarious!” She couldn’t stop the giggles from escaping her mouth and she fell back down into hysterical laughter for the second time.

“Well, that’s quite enough of that for one night,” Rarity said, dusting off Rainbow’s spit from her expensive pajama bottoms. “I think we have tortured poor Fluttershy enough for one night.”

“C…can we just, maybe, talk about something else. You know, if it's okay with both of you,” Fluttershy asked sheepishly, still cowering behind her long, pink hair that was expertly styled to allow her to hide her face behind her long, flowing locks.

“I think that is a marvelous idea, darling,” Rarity agreed, smiling warmly at the girl.

“Whatever,” Rainbow agreed finally, pouting slightly as she blew a bit of air from her mouth up her face, causing her Rainbow coloured hair to shift to the side due to the wind current. “What about, Shy?”

“um… okay… I wonder when Twilight will return again. I heard…” Fluttershy trailed off when Rainbow suddenly interrupted her.

“Why? Did she say she was returning? Did Sunset get a response from her freaky book thingy?” Her features perked up and her mood improved. She seemed incredibly excited at the thought of their violet Alicorn princess turned high school student friend to return to them so soon.

“Somebody seems a little too enthused for a return from our Twilight,” Rarity teased, noticing the sudden change in tone of voice and body language from the normal cool Rainbow.

“Psh, as if,” Rainbow scoffed, raising a hand to Rarity and waving her notion away as quick as it came up. Rarity refused to back down, enjoying watching Rainbow get flustered as much as all her other friends. Although they all considered Rainbow their best friend, they could all admit that her obnoxious, arrogant personality.

“I think you were a little too sad to see her leave last time. The hug you two shared lingered on a little too long if you ask me,” Rarity smirked.

“Well nobody did ask you. And we are just friends, that’s all. I can’t help if Twilight hugged me longer than any of you. She must just miss me more than any of you,” Rainbow beamed, puffing out her chest. Rarity rolled her eyes sarcastically at that remark.

### Crystal structures, as found in the file
........
[1]
Simulated X-ray powder pattern
Compound: Na2B3C
Radiation: Cu Kα, 1.54184 Å
Structure: DFT lattice parameters and positions (PBE)
Kinematic intensities with the Lorentz-polarization factor, no thermal factor.

Main lines, in order of rising 2θ (2θ from 10° to 80°):
- (0 0 2), 2θ = 20.63°, 4.305 Å, intensity 1
- (2 -1 0), 2θ = 35.55°, 2.526 Å, intensity 19
- (1 2 1), 2θ = 41.45°, 2.178 Å, intensity 100
- (0 0 4), 2θ = 41.97°, 2.153 Å, intensity 25
- (2 -1 4), 2θ = 56.14°, 1.638 Å, intensity 10
- (3 1 -1), 2θ = 63.84°, 1.458 Å, intensity 17
- (0 5 0), 2θ = 67.86°, 1.381 Å, intensity 2
- (2 -6 2), 2θ = 75.25°, 1.263 Å, intensity 2
- (1 2 5), 2θ = 76.32°, 1.248 Å, intensity 13
- (4 -2 2), 2θ = 79.01°, 1.212 Å, intensity 7
- (2 -6 4), 2θ = 79.05°, 1.211 Å, intensity 4
- (3 1 3), 2θ = 79.37°, 1.207 Å, intensity 17

Structure:
```
data_Na2B3C
_cell_length_a 5.0522
_cell_length_b 7.7134
_cell_length_c 9.0903
_cell_angle_alpha 107.63
_cell_angle_beta 90.02
_cell_angle_gamma 109.09
_symmetry_space_group_name_H-M 'P 1'
_symmetry_Int_Tables_number 1
_symmetry_space_group_name_Hall 'P 1'
loop_
_atom_site_label
_atom_site_type_symbol
_atom_site_fract_x
_atom_site_fract_y
_atom_site_fract_z
_atom_site_occupancy
Na1 Na 0.0000 0.0000 0.0000 1
Na2 Na 0.0966 0.1991 0.4970 1
Na3 Na 0.1980 0.4017 0.0009 1
Na4 Na 0.2991 0.5987 0.4932 1
Na5 Na 0.4015 0.8026 0.0002 1
Na6 Na 0.4999 0.0014 0.4969 1
Na7 Na 0.6004 0.2012 0.9985 1
Na8 Na 0.6999 0.3999 0.4973 1
Na9 Na 0.8000 0.6001 0.9988 1
Na10 Na 0.9006 0.7990 0.4956 1
B1 B 0.0171 0.7123 0.7478 1
B2 B 0.0833 0.5022 0.7482 1
B3 B 0.1722 0.7021 0.2483 1
B4 B 0.2213 0.0829 0.7474 1
B5 B 0.3117 0.2983 0.2477 1
B6 B 0.3889 0.0907 0.2469 1
B7 B 0.4395 0.5181 0.7478 1
B8 B 0.4683 0.3001 0.7475 1
B9 B 0.5140 0.7027 0.2482 1
B10 B 0.6037 0.5006 0.2491 1
B11 B 0.6047 0.8882 0.7478 1
B12 B 0.7983 0.9096 0.2471 1
B13 B 0.8196 0.3008 0.7483 1
B14 B 0.8812 0.0988 0.7481 1
B15 B 0.9702 0.2988 0.2479 1
C1 C 0.1154 0.9001 0.2473 1
C2 C 0.2878 0.8960 0.7474 1
C3 C 0.6922 0.7046 0.7481 1
C4 C 0.7154 0.1002 0.2466 1
C5 C 0.9131 0.5009 0.2493 1
```


[2]
Simulated X-ray powder pattern
Compound: Dy3Y5Er2
Radiation: Cu Kα, 1.54184 Å
Structure: DFT lattice parameters and positions (PBE)
Kinematic intensities with the Lorentz-polarization factor, no thermal factor.

Main lines, in order of rising 2θ (2θ from 10° to 80°):
- (2 2 -1), 2θ = 20.02°, 4.436 Å, intensity 21
- (0 4 0), 2θ = 22.38°, 3.972 Å, intensity 17
- (2 4 0), 2θ = 30.33°, 2.947 Å, intensity 69
- (2 2 1), 2θ = 30.69°, 2.913 Å, intensity 100
- (0 4 2), 2θ = 32.32°, 2.770 Å, intensity 30
- (4 0 -2), 2θ = 33.52°, 2.673 Å, intensity 43
- (2 6 -1), 2θ = 37.92°, 2.373 Å, intensity 26
- (2 0 2), 2θ = 38.81°, 2.321 Å, intensity 20
- (4 4 -4), 2θ = 47.26°, 1.923 Å, intensity 21
- (0 6 3), 2θ = 49.36°, 1.846 Å, intensity 18
- (4 6 1), 2θ = 60.99°, 1.519 Å, intensity 19
- (2 4 4), 2θ = 67.33°, 1.391 Å, intensity 19

Structure:
```
data_Dy3Y5Er2
_cell_length_a 10.6933
_cell_length_b 15.8875
........
### Here the text continues

“Well maybe I won’t tell you the secret message that Twilight asked me to give to you,” Rarity mentioned, pretending to turn her attention to elsewhere although she was watching how Rainbow would respond with determined eyes.

“What is it? What did she say?” Rainbow asked quickly, her face perking up again as she sat up and crawled over to Rarity.
“Ha, caught you,” Rarity gloated, poking Rainbow’s chest with her finger.

“Nah-uh,” Rainbow shook her head in response. Fluttershy’s spirits slowly lowered further and further throughout the whole display. Although she wasn’t quite sure why, she couldn’t watch Rarity torment Rainbow any further, and especially not about liking Twilight. She decided that she had to speak up and end this.

“Um… can we… maybe… talk about something else, if you want that is,” Fluttershy sighed, slowly losing a demanding tone throughout her sentence until it came out as a shy question which was the very reason why most of the students at Canterlot high stepped all over the shy girl.

“Whatever, I’m going to bed,” Rainbow responded stubbornly, rolling over in her mattress and dragging the covers over her head, obscuring Fluttershy’s view of the girl.

“Same here,” Rarity scoffed, mimicking Rainbow’s actions.

‘At least they stopped talking about Rainbow liking Twilight,’ Fluttershy sighed to herself before crawling into her bed and snuggling under the covers herself. “Goodnight,” she squeaked but when she wasn’t met with a reply, she closed her eyes and drifted off to sleep.

Sunset Shimmer walked from student to student down the halls, asking the same question to each of them and getting the same, confused answer.

‘This is useless,’ she sighed to herself, placing the palm of her hand over her face and letting it run down her features. ‘Nobody knows a thing about where Flash is.’ She thought harder about her conundrum. A student doesn’t just go missing into thin air all of a sudden. Sunset was convinced that Equestrian magic was involved, just like it always was. She rolled her eyes, a small smile crossing her face as she thought this.

Suddenly, her something in her mind clicked as she raced down the winding hallways, heading to her locker. Her red and orange tinged hair danced behind her in the wind, swaying much like a crackling fire. She screeched to a stop in front of her locker and frantically searched the confines, not stopping until she pulled out a small journal with a blazing sun plastered on the front of it.

‘I’ll just write a note to Princess Twilight and she can help me solve this,’ her mind decided as she picked up a pen and began scribbling a quick letter in the pages of the book that would inevitably appear in a similar book back in Twilight’s castle.

“Hey Sunset, what ah ya doing?” A rustic voice asked from behind her. Sunset swiveled her head to see a confused, blonde haired girl wearing a denim skirt and long boots behind her.

“Oh, hey Apple Jack, just writing a note to Twilight.”

“What went wrong this time?” Apple Jack asked curiously.

As Sunset began to recount the events of the morning, stressing that not a single soul had heard, let alone seen, Flash since yesterday afternoon. Just as she was finishing her story, a pink haired girl bounded around the corner.

“Hey guys, Whatcha talking about?” Pinkie asked enthusiastically.

“Flash went missin’ and we need ya help,” Apple Jack replied. “I’m gonna text the girls to come over to help us,” she finished.

“Don’t worry silly, I already text them all 37 times while you told me what was happening,” Pinkie smiled. Apple Jack and Sunset Shimmer looked at each other, confused before Sunset shrugged her shoulders. Although it seemed improbable that anybody would be able to do things so quickly, they learnt not to question Pinkie.

“Hey A.J and Sunset, I got Pinkie’s message. What do you need me for?” Rainbow asked, sprinting through the school doors, sweat pouring down her face.

“Oh, hey Rainbow. It’s not that important,” Sunset admitted, running a hand through her fiery hair.

“Are you kidding me? Pinkie said it was urgent! I got out of bed early for this!” Rainbow complained.

“Sorry, I didn’t mean to wake you up. We just had an issue that we need to solve.”

“A magical issue,” Pinkie added helpfully, putting emphasis on the word magical whilst waving her individual fingers through the air to symbolize the whimsy behind it.

“I’m going to remember this next time I have something that is ‘urgent’,” Rainbow muttered, annoyed, acting out the air quotes around the word urgent. Sunset wanted to ask more and apologize again but their other friends turned up and she decided to turn her attention back to the problem at hand.

“I’m glad you’re all here. I need your help,” Sunset began.

“We’re your friends, sugarcube, we're always here to help,” Apple Jack smiled in reply. Sunset walked past the group of friends, making her way down the stone steps of the school and into the yard. Her flat soled shoes crunched on the individual blades of grass that danced about in the morning breeze. The girl’s shoes absorbing the dew drops that were created from the cold temperatures brought upon by the moon. Sunset traced her finger along the statue, stopping at the frame that faced the school. She placed the palm of her hand against the cold stone as the heat that she emitted was dissipated from her due to the greedy pull of the sculpture. Small ripples began to appear on the surface, much like how ripples of water occur after a delicate leaf is blown from its branch by a powerful wind and had floated down to land upon the unbroken surface of a lake.

“This was where he was last seen. Do you think he was taken through the portal?” Sunset asked to nobody in particular. As if the inanimate object towering above her had heard her calls, something began to stir inside the portal.

All the girls looked on eagerly, sparkles in their eyes not dissimilar to the symbol that adorned the backside of a certain violet alicorn. However, their enthusiasm turned to horror when a hand, a ghostly shade of white appeared from the portal, wrapping itself around the midriff of Sunset instead of Twilight emerged. The colour drained from Sunset’s face, being replaced by a pale white identical to that of the hand. Fear pumped through her system, releasing adrenaline through her veins that traveled around inside of her.

Sunset immediately reached out her hand, pleading for her friends to help her. It was Rainbow, always the alert one in the group, that leaped into action before the seriousness of the situation had fully been absorbed by the others. Cyan met orange as Rainbow clasped her hand around Sunset’s. She steadied her stance, pushing with all her force onto the soles of her shoes so that she wasn’t also pulled into the portal by the fantastical force.

Rainbow heaved with all her might. She was in the middle of the most intense game of tug of war with the hand of a phantom in which the prize was the life of Sunset.

“Guys… a little… help here,” Rainbow grunted, refusing to loosen her grip on the panicking girl in front of her. Apple Jack, followed by Pinkie, Rarity and Fluttershy all wrapped their arms around Rainbow’s waist and began to pull, adding their force to that of Rainbow’s.

Slowly, Sunset inched further and further away from the statue. Finally when her leg had completely emerged from the portal did the hand give up its attack and retreat back into the mysterious realm on the other side of the portal. With the sudden lack of opposite momentum, the girls all fell backwards suddenly, taking Sunset with them. They all landed in a heap on the lawn, laughing from sheer relief.

“Get off of me, Sunset,” Rainbow yelled happily, pushing the flaming haired girl off of her. Sunset turned and immediately gave all of them a great bit hug, thanking them for their help. Little did they know that, whilst focused on making sure Sunset was alright, the misty white hand had begun to emerge from within the portal again.

With little warning the hand seized Sunset for the second time, taking all six of the females completely off guard, and wrenched her off of her feet. Rainbow dived forward, trying to grab ahold of Sunset’s boots but she missed by a nose, watching in horror as the hand pulled Sunset into the portal.

Just as the last finger of Sunset began to get swallowed up to the statue, a bright light emanated from the portal, bathing the surroundings in a heavenly glow. Rainbow rubbed her eyes, trying to gain the ability to see again after the burning light seared her retinas. When she finally was able to open her eyelids without pain, she noticed the blurry silhouette of two girls standing before her. As her sight adjusted and the hazy images began to focus, she noticed Sunset, standing on the grass beside her without a single scratch. And next to her, standing in all her glory, was Twilight Sparkle.

“Twilight!” Rainbow cheered with joy, rushing over to the violet skinned girl and picking her up in her arms, twirling her around in the air with a big smile on her face.

“H…hey Rainbow. Nice to see you…too,” Twilight managed to say, confused by the sudden outburst. Rainbow Dash, realizing what she was doing, quickly put Twilight down and rubbed the back of her neck, fighting off the encroaching blush that threatened to cover her cheeks.

“Heh, heh, sorry Twi. It’s… been a while,” Rainbow muttered, laughing allowed to dispel the embarrassment. Although all the other girls seemed extremely happy, each running up to greet Twilight for themselves, one pouted silently, feeling a sudden emotion that she had never felt before.

Fluttershy watched on, letting this emotion consume her as she viewed Rainbow Dash twirling around Twilight, beaming with joy from just seeing her again. Fluttershy gasped silently to herself when she realized what was happening. Although she had no clue why she was feeling this way, she did know that she was feeling an emotion she had never experienced before. Resentment. She resented Twilight.